(Source)
Simulated PXRD pattern of PmPbWO6 for Cu Kα, from a GGA+U-relaxed structure.
No peak broadening, texture or thermal motion is included.

Largest 10 diffraction maxima, in order of falling intensity, 2θ = 10–80°:
d = 3.141 Å, I 100
d = 1.805 Å, I 74
d = 3.609 Å, I 59
d = 3.089 Å, I 53
d = 2.932 Å, I 46
d = 3.043 Å, I 35
d = 3.060 Å, I 33
d = 2.992 Å, I 33
d = 1.980 Å, I 21
d = 2.003 Å, I 21

Structural model:
```
PmPbWO6
1.0
-3.606 3.720 5.035
3.606 -3.720 5.035
3.606 3.720 -5.035
Pm Pb W O
2 2 2 12
Direct
0.500 0.000 0.000
0.500 0.500 0.500
0.132 0.382 0.750
0.868 0.618 0.250
0.000 0.000 0.000
0.500 0.000 0.500
0.080 0.318 0.146
0.080 0.934 0.762
0.326 0.076 0.250
0.327 0.066 0.646
0.327 0.682 0.262
0.359 0.609 0.750
0.641 0.391 0.250
0.673 0.318 0.738
0.673 0.934 0.354
0.674 0.924 0.750
0.920 0.066 0.238
0.920 0.682 0.854
```

* * * * *

This entry pairs a crystal structure of U6Fe with its theoretical XRD peak list. Radiation: Cu Kα (weighted mean of Kα1 and Kα2). Structure: a structure optimized by DFT (PBE).
Peak positions follow from Bragg's law for the DFT cell and can differ from measured ones.

Main lines, low angle first (2θ = 10–80°):
34.21°, d = 2.621 Å, intensity 28; 36.23°, d = 2.480 Å, intensity 100; 45.59°, d = 1.990 Å, intensity 13; 62.57°, d = 1.484 Å, intensity 21; 65.71°, d = 1.421 Å, intensity 10; 75.54°, d = 1.259 Å, intensity 12

Atomic structure:
a = 7.639 Å, b = 7.639 Å, c = 7.639 Å
α = 96.76°, β = 96.76°, γ = 139.86°
Element x y z (fractional)
U 0.094 0.594 0.688
U 0.101 0.218 0.318
U 0.218 0.899 0.117
U 0.282 0.399 0.682
U 0.399 0.718 0.117
U 0.406 0.094 0.500
U 0.594 0.906 0.500
U 0.601 0.282 0.883
U 0.718 0.601 0.318
U 0.782 0.101 0.883
U 0.899 0.782 0.682
U 0.906 0.406 0.312
Fe 0.250 0.250 0.000
Fe 0.750 0.750 0.000

* * * * *

For ThTl3Te4, the GGA-PBE geometry in Alexandria gives the calculated powder XRD pattern in this record (Cu Kα).

Largest 10 diffraction maxima, most intense first, 15° ≤ 2θ ≤ 90°:
hkl 1 2 1, 26.40 deg, d 3.376, rel. 1000; hkl 2 0 2, 37.58 deg, d 2.393, rel. 579; hkl 2 0 -2, 27.46 deg, d 3.248, rel. 460; hkl 1 2 -3, 39.31 deg, d 2.292, rel. 354; hkl 2 4 -2, 47.35 deg, d 1.920, rel. 199; hkl 0 4 0, 37.79 deg, d 2.380, rel. 189; hkl 2 4 2, 54.34 deg, d 1.688, rel. 127; hkl 1 2 5, 70.12 deg, d 1.342, rel. 120; hkl 4 0 0, 45.68 deg, d 1.986, rel. 107; hkl 0 0 4, 48.59 deg, d 1.874, rel. 96

```
data_ThTl3Te4
_cell_length_a 8.318
_cell_length_b 9.521
_cell_length_c 7.847
_cell_angle_alpha 90.00
_cell_angle_beta 107.23
_cell_angle_gamma 90.00
_symmetry_space_group_name_H-M 'P 1 2/c 1'
_symmetry_Int_Tables_number 13
_symmetry_space_group_name_Hall '-P 2yc'
loop_
_atom_site_label
_atom_site_fract_x
_atom_site_fract_y
_atom_site_fract_z
Th1 0.000 0.127 0.250
Tl1 0.000 0.382 0.750
Tl2 0.500 0.128 0.750
Tl3 0.500 0.378 0.250
Te1 0.224 0.107 0.995
Te2 0.234 0.362 0.485
```

* * * * *

Starting from a DFT-relaxed cell (PBE+U, the Materials Project), the powder X-ray diffraction pattern of Mg6NbVO8 was calculated for copper Kα.
No peak broadening, texture or thermal motion is included.

Structure:
```
data_Mg6NbVO8
_cell_length_a 4.335
_cell_length_b 4.335
_cell_length_c 8.772
_cell_angle_alpha 90.00
_cell_angle_beta 90.00
_cell_angle_gamma 90.00
_space_group_name_H-M_alt 'P 4/m m m'
_space_group_IT_number 123
_space_group_name_Hall '-P 4 2'
loop_
_atom_site_label
_atom_site_type_symbol
_atom_site_fract_x
_atom_site_fract_y
_atom_site_fract_z
Mg1 Mg 0.000 0.000 0.000
Mg2 Mg 0.000 0.000 0.500
Mg3 Mg 0.000 0.500 0.246
Nb1 Nb 0.500 0.500 0.500
V1 V 0.500 0.500 0.000
O1 O 0.000 0.000 0.251
O2 O 0.000 0.500 0.000
O3 O 0.000 0.500 0.500
O4 O 0.500 0.500 0.243
```

Peak list (10 most intense, 5 to 70 degrees two-theta, by intensity)
two_theta, intensity
41.67, 100
60.01, 59
41.16, 52
35.74, 48
20.49, 32
60.40, 29
28.96, 27
20.25, 17
10.08, 13
29.13, 13

---
(Assignment)
Find "0.601 0.282" and "60.40, 29" in the listing further up, and print these two lines and those between.
(Here it is)
U 0.601 0.282 0.883
U 0.718 0.601 0.318
U 0.782 0.101 0.883
U 0.899 0.782 0.682
U 0.906 0.406 0.312
Fe 0.250 0.250 0.000
Fe 0.750 0.750 0.000

* * * * *

For ThTl3Te4, the GGA-PBE geometry in Alexandria gives the calculated powder XRD pattern in this record (Cu Kα).

Largest 10 diffraction maxima, most intense first, 15° ≤ 2θ ≤ 90°:
hkl 1 2 1, 26.40 deg, d 3.376, rel. 1000; hkl 2 0 2, 37.58 deg, d 2.393, rel. 579; hkl 2 0 -2, 27.46 deg, d 3.248, rel. 460; hkl 1 2 -3, 39.31 deg, d 2.292, rel. 354; hkl 2 4 -2, 47.35 deg, d 1.920, rel. 199; hkl 0 4 0, 37.79 deg, d 2.380, rel. 189; hkl 2 4 2, 54.34 deg, d 1.688, rel. 127; hkl 1 2 5, 70.12 deg, d 1.342, rel. 120; hkl 4 0 0, 45.68 deg, d 1.986, rel. 107; hkl 0 0 4, 48.59 deg, d 1.874, rel. 96

```
data_ThTl3Te4
_cell_length_a 8.318
_cell_length_b 9.521
_cell_length_c 7.847
_cell_angle_alpha 90.00
_cell_angle_beta 107.23
_cell_angle_gamma 90.00
_symmetry_space_group_name_H-M 'P 1 2/c 1'
_symmetry_Int_Tables_number 13
_symmetry_space_group_name_Hall '-P 2yc'
loop_
_atom_site_label
_atom_site_fract_x
_atom_site_fract_y
_atom_site_fract_z
Th1 0.000 0.127 0.250
Tl1 0.000 0.382 0.750
Tl2 0.500 0.128 0.750
Tl3 0.500 0.378 0.250
Te1 0.224 0.107 0.995
Te2 0.234 0.362 0.485
```

* * * * *

Starting from a DFT-relaxed cell (PBE+U, the Materials Project), the powder X-ray diffraction pattern of Mg6NbVO8 was calculated for copper Kα.
No peak broadening, texture or thermal motion is included.

Structure:
```
data_Mg6NbVO8
_cell_length_a 4.335
_cell_length_b 4.335
_cell_length_c 8.772
_cell_angle_alpha 90.00
_cell_angle_beta 90.00
_cell_angle_gamma 90.00
_space_group_name_H-M_alt 'P 4/m m m'
_space_group_IT_number 123
_space_group_name_Hall '-P 4 2'
loop_
_atom_site_label
_atom_site_type_symbol
_atom_site_fract_x
_atom_site_fract_y
_atom_site_fract_z
Mg1 Mg 0.000 0.000 0.000
Mg2 Mg 0.000 0.000 0.500
Mg3 Mg 0.000 0.500 0.246
Nb1 Nb 0.500 0.500 0.500
V1 V 0.500 0.500 0.000
O1 O 0.000 0.000 0.251
O2 O 0.000 0.500 0.000
O3 O 0.000 0.500 0.500
O4 O 0.500 0.500 0.243
```

Peak list (10 most intense, 5 to 70 degrees two-theta, by intensity)
two_theta, intensity
41.67, 100
60.01, 59
41.16, 52
35.74, 48
20.49, 32
60.40, 29